Coffee Chat Idea Session
- Barb Reiter has reached out to schools to offer help, possibly with meal delivery etc. Maybe give schools Parenting Montana.org materials to hand out with meals.
- Work with your teens and youth coalitions to send out social media positive messaging
Alcohol Awareness Month
Drug Facts Week
National Prevention Week is also May 10th-16th
- Mary, Toole County is working with parents at food bank – networking community to replenish foodbank, taking Parenting MT and resiliency information.
- Sue in Hill County – working on National Drug facts to put in newspaper (puzzles etc.).
Delivered meals to community, gave out left over Red Ribbon week bags.
Trying to find crayons, coloring books, hand washing ideas, PAX tools etc. to take with meal delivery.
Youth group working to start up chats, so they can stay involved and connected
- Erin – helping schools is a good way to build relationship, get your foot in door
- Andrea Schurg- In Dillion, the schools are putting together “Family Isolation Kits” and asked her to participate. She’ll add puzzles, decks of cards, craft materials along with prevention materials.
- Downloaded and print articles from Parenting MT, attach to meals one day a week.
- Amanda, Facebook page “the cupboard” –or in other particular feeds we can answer community questions by pulling specific info from Parenting MT.
- Social media – put the ParentingMontana.org stuff ou.t
- Little free libraries are good spots to share things – rack cards for ParentingMontana.org and little prizes.
- Teachers using “remind app” maybe they can promote our stuff through that app.
- Kathleen said, schools are happier with card stock right now, too much copied material. How can we make our material stand out???? Look like quality, colored card stock.
- People visiting liquor stores – would they distribute information on healthy coping info? Listing how to stay healthy during stress? Alcohol link to depression info? Alcohol/drugs suppress the immune system.
- Food delivering – can we reach out to advocate for Montana to NOT deliver alcohol/marijuana?
- Free phone lines – can we get those out on social media etc. Suicide Hotline, runaway, mental health, stay sober. Montana warm line – mental health lines-Families need support now.
- Encourage families to go for a hike or sledding or something outside.
- Work with coalitions/ groups to meet via video or telephone, stay connected to move forward this support in the community.
- Set up a support group for parents – via chat, Facebook, can we reach out? Get some structure in place? Send out modules from ParentingMontana on routines.
- Plan around internet/connectivity issues to reach ALL families.
- Schools are mailing things to students; can we get in on that? How fun for kids to get mail.
The text is interrupted by data records >
........
Entry 1:
An optimized crystal structure of YMo6S8, computed with meta-GGA r2SCAN.

abc: 9.1376 9.1376 11.3189
angles: 90.00 90.00 120.00
Space group R-3 (No. 148, hexagonal axes)
Asymmetric unit:
Y (0.0000, 0.0000, 0.0000) x3
Mo (0.0177, 0.1756, 0.4022) x18
S (0.0000, 0.0000, 0.2384) x6
S (0.0017, 0.6221, 0.7490) x18

Computed properties:
**Formation energy**: -1.048 eV/atom
**Calculated density**: 5.61 g/cm³



Entry 2:
An optimized crystal structure of Hf3Cu8, computed with meta-GGA r2SCAN.

abc: 7.748 8.033 9.864
angles: 90.00 90.00 90.00
Space group Pnma (No. 62)
Asymmetric unit:
Hf (0.041, 0.250, 0.047) x4
Hf (0.062, 0.554, 0.641) x8
Cu (0.116, 0.750, 0.403) x4
Cu (0.121, 0.578, 0.160) x8
Cu (0.130, 0.250, 0.766) x4
Cu (0.176, 0.250, 0.517) x4
Cu (0.199, 0.501, 0.907) x8
Cu (0.216, 0.250, 0.274) x4

Computed properties:
**Formation energy**: -0.179 eV/atom
**Calculated density**: 11.29 g/cm³

~~~~~

First-principles (GGA+U) data for a relaxed structure of Li2FeSiO4, as listed in the Materials Project.

SG   P2_1 (4)
Total DFT energy (no corrections)   -6.6037 eV/atom
ΔH_f (0 K)   -2.541 eV/atom
Magnetic moment   4.0 μB/f.u.

Lattice parameters (Å, degrees): 10.806 5.405 6.289 88.78 90.00 90.00
Element x y z (fractional)
O 0.839 0.998 0.718
O 0.340 0.996 0.718
O 0.579 0.877 0.018
O 0.339 0.002 0.282
O 0.558 0.049 0.505
O 0.424 0.623 0.499
O 0.840 0.004 0.282
O 0.924 0.377 0.501
O 0.058 0.951 0.495
O 0.940 0.537 0.002
O 0.158 0.558 0.789
O 0.440 0.463 0.998
O 0.658 0.442 0.211
O 0.079 0.123 0.982
O 0.661 0.517 0.785
O 0.161 0.483 0.215
Li 0.163 0.953 0.758
Li 0.666 0.916 0.734
Li 0.663 0.047 0.242
Li 0.335 0.569 0.763
Li 0.166 0.084 0.266
Li 0.835 0.431 0.237
Li 0.334 0.576 0.233
Li 0.834 0.424 0.767
Si 0.084 0.430 0.993
Si 0.584 0.570 0.007
Si 0.917 0.070 0.500
Si 0.417 0.930 0.500
Fe 0.919 0.917 0.002
Fe 0.082 0.573 0.492
Fe 0.582 0.427 0.508
Fe 0.419 0.083 0.998
........
So much for the data records >
- Could we get a coloring contest going to have kids send notes/ pictures to people in nursing homes? Could parents post on your coalition Facebook page?
- Color bags to send takeout food in – have kids color with messaging/facts.
- Before going out and doing things, check with your county to see what health parameters are right now – ever changing day to day. Please be mindful if you have been in any situation where you have had possibility of exposure (Seattle CTC training, kids coming home from school, travel) please stay home for 2 weeks 🙂 There’s a lot we can do from phone and computer.
- Schedule out social media posts for whatever “National” Day it is– Let’s laugh day!! Knock-knock jokes?
- We are working on PNA – we will get info out to you as we get it
- DUI Task Force people may be very busy with other duties, please be mindful, possibly step in to help or postpone meetings.
- Virtual – run “out of the darkness” can they post pictures of their run or hike or virtual run times, share a screenshot of a calendar with your activity have others join in.
- Indoor/outdoor scavenger hunts, lots of lists on Pinterest.
- Think about your community and culture, how can we reach out.
- Check in buddy system – mentoring, call and check in. Can we encourage our community to do this and encourage healthy coping.
- Youth one on one walk dogs at shelter?? Other ideas like this?
- Virtual meeting platforms – Go to meeting free for 30 days, zoom,
- Ryan shared the link-https://www.cdc.gov/coronavirus/2019-ncov/prepare/managing-stress-anxiety.html
- “Talk, they hear you!” campaign -Having parents talk to their kids about alcohol use.
- Homemade Ninja warrior course for your kids at home.
- Put out a challenge on Facebook- community page (Butte 411) or coalition, use a # that we all can use, Show your pet.